LADIES - Water retention/Period weight gain trends?


Silver Member
Hi Ladies, (and gentlemen if your being nosey!)

Has anyone ever found a trend in regards to how much water they retain, how much weight they gain, how long it lasts for when they have their periods?

_Here the article breaks off for data records_
1.
# K4MgMn4O8 (PBE+U, relaxed)
# ΔE to the lowest computed polymorph: 4.4 meV per atom
# spin magnetization: 18.0 Bohr magnetons per cell
# E: -101.8 eV/cell
# ΔE_f: -180.0 kJ/mol of atoms
data_K4MgMn4O8
_cell_length_a 3.137
_cell_length_b 6.383
_cell_length_c 14.995
_cell_angle_alpha 99.20
_cell_angle_beta 95.94
_cell_angle_gamma 90.56
_symmetry_space_group_name_H-M 'P 1'
_symmetry_Int_Tables_number 1
loop_
_symmetry_equiv_pos_as_xyz
'x,y,z'
loop_
_atom_site_label
_atom_site_type_symbol
_atom_site_fract_x
_atom_site_fract_y
_atom_site_fract_z
K1 K 0.000 0.000 0.000
K2 K 0.139 0.290 0.419
K3 K 0.372 0.013 0.774
K4 K 0.756 0.467 0.633
Mg1 Mg 0.543 0.419 0.200
Mn1 Mn 0.112 0.752 0.375
Mn2 Mn 0.412 0.535 0.853
Mn3 Mn 0.703 0.924 0.549
Mn4 Mn 0.993 0.499 0.019
O1 O 0.007 0.347 0.130
O2 O 0.189 0.713 0.527
O3 O 0.229 0.115 0.595
O4 O 0.486 0.687 0.998
O5 O 0.586 0.547 0.326
O6 O 0.630 0.956 0.406
O7 O 0.889 0.683 0.802
O8 O 0.923 0.332 0.881

---

2.
# K4MgMo2O8 (PBE+U, relaxed)
# ΔE to the lowest computed polymorph: 0.0 meV per atom
# spin magnetization: 2.0 Bohr magnetons per cell
# E: -87.0 eV/cell
# ΔE_f: -202.8 kJ/mol of atoms
data_K4MgMo2O8
_cell_length_a 6.039
_cell_length_b 6.909
_cell_length_c 8.260
_cell_angle_alpha 78.72
_cell_angle_beta 88.75
_cell_angle_gamma 65.66
_symmetry_space_group_name_H-M 'P 1'
_symmetry_Int_Tables_number 1
loop_
_symmetry_equiv_pos_as_xyz
'x,y,z'
loop_
_atom_site_label
_atom_site_type_symbol
_atom_site_fract_x
_atom_site_fract_y
_atom_site_fract_z
K1 K 0.000 0.000 0.000
K2 K 0.027 0.943 0.499
K3 K 0.348 0.331 0.860
K4 K 0.615 0.790 0.248
Mg1 Mg 0.863 0.436 0.578
Mo1 Mo 0.368 0.394 0.351
Mo2 Mo 0.594 0.722 0.790
O1 O 0.197 0.691 0.276
O2 O 0.205 0.314 0.536
O3 O 0.280 0.755 0.790
O4 O 0.414 0.214 0.206
O5 O 0.670 0.875 0.919
O6 O 0.683 0.362 0.424
O7 O 0.705 0.755 0.571
O8 O 0.795 0.412 0.819

---

3.
# KMgMoO3 (PBE+U, relaxed)
# ΔE to the lowest computed polymorph: 247.2 meV per atom
# spin magnetization: 3.0 Bohr magnetons per cell
# E: -32.2 eV/cell
# ΔE_f: -145.2 kJ/mol of atoms
data_KMgMoO3
_cell_length_a 4.188
_cell_length_b 4.188
_cell_length_c 4.995
_cell_angle_alpha 90.00
_cell_angle_beta 90.00
_cell_angle_gamma 90.00
_symmetry_space_group_name_H-M 'P 4/m m m'
_symmetry_Int_Tables_number 123
_symmetry_space_group_name_Hall '-P 4 2'
loop_
_atom_site_label
_atom_site_type_symbol
_atom_site_fract_x
_atom_site_fract_y
_atom_site_fract_z
K1 K 0.000 0.000 0.000
Mg1 Mg 0.000 0.000 0.500
Mo1 Mo 0.500 0.500 0.500
O1 O 0.000 0.500 0.500
O2 O 0.500 0.500 0.000

---

4.
# KMgMoO3 (PBE+U, relaxed)
# ΔE to the lowest computed polymorph: 0.0 meV per atom
# spin magnetization: 6.0 Bohr magnetons per cell
# E: -67.3 eV/cell
# ΔE_f: -169.0 kJ/mol of atoms
data_KMgMoO3
_cell_length_a 6.720
_cell_length_b 5.874
_cell_length_c 4.455
_cell_angle_alpha 90.00
_cell_angle_beta 100.18
_cell_angle_gamma 90.00
_symmetry_space_group_name_H-M 'C 1 m 1'
_symmetry_Int_Tables_number 8
loop_
_symmetry_equiv_pos_as_xyz
'x,y,z'
'x,-y,z'
_End of the data records_

Just thought it would be interesting to see how everyone's patterns vary, you never know we may all be more similar that you think!! :)

**Between two parts of the entry: materials data:**
/*
Compound: CaSe2O6
Source: the Materials Project database
Functional: PBE-GGA
Structure: optimized geometry

abc: 12.0586 6.9893 8.8892
angles: 53.06 90.00 90.00
Last column: nearest neighbours and their distance in Å.
Atoms (fractional coordinates):
Ca (0.9130, 0.3153, 0.7375)  6 O 2.35-2.56
Ca (0.4130, 0.6847, 0.7625)  6 O 2.35-2.56
Ca (0.5870, 0.3153, 0.2375)  6 O 2.35-2.56
Ca (0.0870, 0.6847, 0.2625)  6 O 2.35-2.56
Se (0.1343, 0.7210, 0.6580)  4 O 1.65-1.76
Se (0.6343, 0.2790, 0.8420)  4 O 1.65-1.76
Se (0.1816, 0.1512, 0.7441)  2 O 1.67-1.68
Se (0.6816, 0.8488, 0.7559)  2 O 1.67-1.68
Se (0.3184, 0.1512, 0.2441)  2 O 1.67-1.68
Se (0.8184, 0.8488, 0.2559)  2 O 1.67-1.68
Se (0.3657, 0.7210, 0.1580)  4 O 1.65-1.76
Se (0.8657, 0.2790, 0.3420)  4 O 1.65-1.76
O (0.0868, 0.3489, 0.5882)  1 Se 1.68
O (0.5129, 0.3808, 0.7376)  1 Se 1.65
O (0.8677, 0.1536, 0.5709)  1 Se 1.66
O (0.7348, 0.4864, 0.7288)  1 Se 1.68
O (0.2348, 0.5136, 0.7712)  1 Se 1.68
O (0.6034, 0.0112, 0.5629)  1 Se 1.67
O (0.0129, 0.6192, 0.7624)  1 Se 1.65
O (0.1953, 0.9500, 0.6574)  1 Se 1.76
O (0.6953, 0.0500, 0.8426)  1 Se 1.76
O (0.4132, 0.3489, 0.0882)  1 Se 1.68
O (0.1034, 0.9888, 0.9371)  1 Se 1.67
O (0.6323, 0.1536, 0.0709)  1 Se 1.66
O (0.3677, 0.8464, 0.9291)  1 Se 1.66
O (0.8966, 0.0112, 0.0629)  1 Se 1.67
O (0.5868, 0.6511, 0.9118)  1 Se 1.68
O (0.3047, 0.9500, 0.1574)  1 Se 1.76
O (0.8047, 0.0500, 0.3426)  1 Se 1.76
O (0.9871, 0.3808, 0.2376)  1 Se 1.65
O (0.3966, 0.9888, 0.4371)  1 Se 1.67
O (0.7652, 0.4864, 0.2288)  1 Se 1.68
O (0.2652, 0.5136, 0.2712)  1 Se 1.68
O (0.1323, 0.8464, 0.4291)  1 Se 1.66
O (0.4871, 0.6192, 0.2624)  1 Se 1.65
O (0.9132, 0.6511, 0.4118)  1 Se 1.68

Output
Total magnetic moment: 0.00 μB per cell
Energy of formation: -1750 meV/atom

***

Compound: NaAl3
Source: the Materials Project database
Functional: PBE-GGA
Structure: optimized geometry

abc: 5.0413 5.0413 5.0413
angles: 128.56 128.56 75.72
Last column: nearest neighbours and their distance in Å.
Atoms (fractional coordinates):
Na (0.0000, 0.0000, 0.0000)  12 Al 2.96-3.09
Al (0.7500, 0.2500, 0.5000)  8 Al 2.96-3.09, 4 Na 2.96
Al (0.2500, 0.7500, 0.5000)  4 Na 2.96, 8 Al 2.96-3.09
Al (0.5000, 0.5000, 0.0000)  8 Al 2.96, 4 Na 3.09

Output
Total magnetic moment: 0.01 μB per cell
Energy of formation: 188 meV/atom

***

Repeat the first record exactly.
Compound: CaSe2O6
Source: the Materials Project database
Functional: PBE-GGA
Structure: optimized geometry

abc: 12.0586 6.9893 8.8892
angles: 53.06 90.00 90.00
Last column: nearest neighbours and their distance in Å.
Atoms (fractional coordinates):
Ca (0.9130, 0.3153, 0.7375)  6 O 2.35-2.56
Ca (0.4130, 0.6847, 0.7625)  6 O 2.35-2.56
Ca (0.5870, 0.3153, 0.2375)  6 O 2.35-2.56
Ca (0.0870, 0.6847, 0.2625)  6 O 2.35-2.56
Se (0.1343, 0.7210, 0.6580)  4 O 1.65-1.76
Se (0.6343, 0.2790, 0.8420)  4 O 1.65-1.76
Se (0.1816, 0.1512, 0.7441)  2 O 1.67-1.68
Se (0.6816, 0.8488, 0.7559)  2 O 1.67-1.68
Se (0.3184, 0.1512, 0.2441)  2 O 1.67-1.68
*/

I've not had a period on a 100% SW week yet, so cant comment on how it effected me! But it would be useful to know. I'm due next week and have already gained 0.5lbs - could this be to do with periods or is it to early? hmmmm.....
I always gain before my period, anything between 1lb and 2lb, I never know its coming as I'm on the injection, I weigh on a Tuesday and when I've had the gains due to period I usually have my period at the weekend... I had an unexpected gain this week, which is either due to painkillers (had a horrible cold) or time of the month... I'll have to wait until at least tomorrow to find out if I have a visitor lol.

after my period (they don't last long, again because of the injection) the weight is off by the following Tuesday
I track my period on an app on my phone called 'Period Tracker' and its amazingly precise! Its been pretty much spot on for the last year give or take a couple of days! It even tells me when i'm ovulating.. not that i'm planning on getting pregnant or anything! haha.. Mine is due on Sunday. And I have been losing every day until Monday! this week i havn't lost anything.. instead i've gained that pesky 0.5lbs. I weigh everyday, so it'll be interesting to see when that comes off and if it was actually to do with my period.

I reckon the water gets retained for about 5 days prior to your period starting and is gone within 2 days of it finishing!
I definitely don't get the results I hope for in the week prior to it, but the week after has so far been a joyous affair with more than 3lbs off. I was 2 weeks overdue this month but it came today, hopefully next WI will be a biggie :)
Yeah i feel bloated and heavy/water retention around a week before and cant stop eating, everyone must gain a few lbs on there monthly times.
I don't actually log when my period is and how it affects the Weigh-ins but i usually get so bloated and don't lose as much but sometimes it can happen the wee before rather than the actual week
Gah! False start 3 days ago... Feel absolutely wretched now nearly 3 weeks overdue (not pregnant btw - if only!)

anyone have any tips to get their period started?
Thanks for the tips MissPeriPeri! I'll try the strong coffee out first- cant think of how basil tea would taste? :D